Innovation without Blowing Your R&D Budget

**Someone pasted calculated molecules at this point:**
........
Molecular formula: C49H100BN5O8
Method: DFT, ωB97M-V with the def2-TZVPD basis set

Structure (XYZ):
```
163
C49H100BN5O8, DFT ωB97M-V with the def2-TZVPD basis set
O -2.457 -1.156 2.344
C -1.610 -1.133 1.497
O -1.099 -0.071 0.890
B 0.102 -0.494 0.134
O -0.058 -1.948 -0.022
C -0.998 -2.383 0.792
O -1.312 -3.520 1.002
O 1.331 -0.191 0.893
C 2.093 0.657 0.220
O 3.116 1.138 0.607
C 1.340 0.976 -1.101
O 0.240 0.238 -1.141
O 1.659 1.787 -1.926
C -3.412 2.300 1.858
C -2.366 2.940 0.949
C -2.597 4.437 0.974
N -1.668 5.263 0.112
C -2.090 5.215 -1.327
C -1.333 6.199 -2.202
C -1.483 7.636 -1.703
C -1.115 7.748 -0.224
C -1.790 6.690 0.621
C -0.253 4.813 0.295
H -4.405 2.380 1.409
H -3.460 2.795 2.829
H -3.222 1.241 2.016
H -2.526 2.561 -0.066
H -1.377 2.593 1.241
H -2.455 4.860 1.968
H -3.611 4.655 0.639
H -3.155 5.438 -1.341
H -1.863 4.205 -1.669
H -1.784 6.193 -3.195
H -0.284 5.906 -2.257
H -2.478 8.063 -1.834
H -0.772 8.223 -2.285
H -1.384 8.729 0.165
H -0.030 7.681 -0.098
H -2.867 6.859 0.700
H -1.392 6.714 1.635
H 0.407 5.573 -0.113
H -0.116 3.915 -0.303
H -0.067 4.695 1.357
C 4.726 5.014 -6.592
C 4.321 3.537 -6.583
C 2.820 3.439 -6.336
N 2.250 2.077 -5.935
C 0.871 2.266 -5.376
C 0.080 0.991 -5.273
C -0.030 0.246 -6.586
C 1.369 0.002 -7.145
C 2.073 1.333 -7.273
C 3.164 1.294 -5.075
H 4.101 5.598 -7.268
H 5.761 5.139 -6.908
H 4.694 5.452 -5.592
H 4.829 3.111 -5.720
H 4.604 3.069 -7.525
H 2.224 3.770 -7.180
H 2.620 4.061 -5.457
H 0.418 2.941 -6.111
H 0.862 2.854 -4.458
H -0.919 1.195 -4.876
H 0.462 0.357 -4.462
H -0.680 0.764 -7.298
H -0.565 -0.698 -6.458
H 1.304 -0.431 -8.143
H 1.892 -0.675 -6.473
H 1.589 2.000 -7.981
H 3.106 1.188 -7.598
H 3.158 1.832 -4.123
H 4.174 1.254 -5.463
H 2.825 0.275 -4.937
C -5.133 -0.649 -0.162
C -5.681 -2.041 -0.485
C -4.814 -3.129 0.128
N -5.212 -4.553 -0.162
C -6.430 -4.889 0.661
C -6.743 -6.389 0.766
C -5.514 -7.193 1.164
C -4.324 -6.860 0.272
C -4.026 -5.388 0.254
C -5.527 -4.760 -1.594
H -4.181 -0.441 -0.645
H -5.075 -0.551 0.923
H -5.892 0.066 -0.478
H -5.846 -2.221 -1.543
H -6.665 -2.077 -0.001
H -4.650 -3.023 1.199
H -3.816 -3.019 -0.312
H -6.195 -4.502 1.652
H -7.303 -4.412 0.224
H -7.423 -6.449 1.616
H -7.169 -6.734 -0.173
H -5.296 -7.016 2.221
H -5.692 -8.262 1.054
H -3.462 -7.395 0.677
H -4.499 -7.274 -0.722
H -3.771 -5.081 1.270
H -3.210 -5.101 -0.406
H -4.737 -4.446 -2.273
H -6.463 -4.280 -1.858
H -5.655 -5.826 -1.765
C -5.547 -3.191 8.961
C -4.397 -2.638 8.084
C -4.301 -3.484 6.812
N -2.956 -3.482 6.153
C -3.037 -4.217 4.830
C -1.726 -4.620 4.200
C -0.745 -5.246 5.178
C -0.569 -4.292 6.344
C -1.874 -4.047 7.043
C -2.548 -2.068 5.828
H -5.705 -2.612 9.863
H -5.330 -4.237 9.172
H -6.457 -3.136 8.359
H -3.488 -2.679 8.679
H -4.660 -1.622 7.794
H -4.952 -3.042 6.057
H -4.560 -4.519 7.033
H -3.509 -5.164 5.136
H -3.785 -3.703 4.231
H -1.958 -5.261 3.341
H -1.258 -3.799 3.639
H -1.176 -6.199 5.502
H 0.196 -5.468 4.680
H 0.070 -4.794 7.076
H -0.056 -3.379 6.048
H -2.290 -4.917 7.560
H -1.743 -3.364 7.881
........

Speaking to Fortune, the late Steve Jobs stated that the degree of innovation does not rely on the amount of R&D dollars an organization has.

The following is a quantum chemistry calculation of 11 unconnected molecules or ions with the total composition C51H105F9N6O11 in a non-equilibrium geometry, from the OMol25 dataset.

Values from the calculation:
calculated total energy: -4060.58682 Ha
charge: -2
HOMO: 0.640 eV
lowest unoccupied orbital energy: 1.504 eV

Atoms and positions in Å:
1 C 3.177065 -6.923056 -9.933110
2 C 4.034914 -7.894230 -10.735665
3 N 4.917584 -8.642110 -9.869367
4 C 4.498575 -9.410849 -8.768213
5 C 5.608749 -9.867889 -8.087528
6 N 6.728619 -9.384737 -8.790850
7 C 6.234698 -8.739440 -10.000657
8 C 8.120858 -9.500178 -8.424713
9 H 2.294719 -6.470732 -10.385852
10 H 3.663680 -5.985380 -9.664671
11 H 2.960224 -7.631709 -9.133802
12 H 4.616632 -7.439285 -11.537373
13 H 3.336601 -8.585289 -11.207804
14 H 3.453078 -9.562113 -8.543631
15 H 5.821413 -10.470267 -7.216716
16 H 6.902792 -8.296730 -10.724574
17 H 8.305407 -10.449239 -7.921403
18 H 8.424557 -8.697783 -7.752380
19 H 8.765946 -9.364803 -9.292838
20 C 10.959891 -11.418807 -18.058425
21 C 10.674216 -11.188214 -16.583820
22 N 11.772717 -11.434648 -15.658223
23 C 12.763169 -12.399558 -15.633175
24 C 13.512815 -12.233644 -14.493026
25 N 13.112146 -11.111802 -13.858922
26 C 12.022172 -10.655521 -14.577063
27 C 13.703692 -10.545780 -12.657939
28 H 10.812620 -12.445882 -18.392391
29 H 11.967742 -11.203562 -18.413392
30 H 10.340938 -10.702812 -18.599111
31 H 9.868485 -11.875297 -16.325352
32 H 10.321153 -10.161996 -16.482199
33 H 12.523386 -13.183837 -16.335898
34 H 14.345689 -12.826407 -14.144673
35 H 11.340895 -9.841960 -14.376120
36 H 12.891614 -10.208486 -12.013838
37 H 14.255040 -9.639123 -12.907119
38 H 14.441450 -11.252353 -12.277701
39 C 12.477131 -5.366638 -11.413524
40 O 13.489245 -5.479298 -12.382712
41 O 11.446948 -6.267267 -11.801381
42 C 13.079050 -5.495893 -9.972791
43 F 12.715999 -4.440910 -9.268350
44 F 12.900226 -6.591035 -9.293166
45 F 14.396807 -5.250885 -9.905475
46 C 13.624293 -4.435626 -13.408850
47 C 14.691263 -4.934239 -14.310403
48 H 14.500031 -5.968383 -14.596894
49 H 14.931264 -4.382332 -15.219192
50 H 15.655836 -4.983868 -13.805191
51 H 13.882521 -3.454683 -13.009877
52 H 12.742457 -4.229913 -14.015591
53 H 12.042946 -4.368156 -11.464508
54 C 7.801054 -14.633238 -10.912324
55 O 7.172859 -15.886625 -11.025005
56 O 9.139578 -15.052541 -10.755164
57 C 7.395679 -13.780404 -12.122449
58 F 6.062841 -13.697058 -12.267552
59 F 7.851601 -12.581052 -12.074681
60 F 7.929372 -14.317839 -13.259928
61 C 5.995801 -16.156448 -10.235669
62 C 5.397566 -17.512249 -10.663636
63 H 5.994658 -18.396624 -10.441273
64 H 4.441739 -17.719549 -10.182468
65 H 5.235042 -17.586344 -11.738907
66 H 5.172208 -15.451765 -10.350618
67 H 6.184898 -16.282309 -9.169599
68 H 7.415256 -14.080781 -10.055560
69 C 14.143333 -17.572474 -14.923127
70 O 15.138407 -16.563800 -14.753659
71 O 13.238302 -17.276250 -13.831906
72 C 13.633309 -17.756439 -16.458415
73 F 12.961006 -16.711993 -16.924612
74 F 14.647533 -18.036170 -17.346098

Innovation without blowing R&D budgetFor many companies, any problem is countered by throwing money at it. However, Jobs believed that creativity and genuine genius should be enough to win over money when coming up with an innovation. Indeed, cost reduction is not always an easy task. As such, it is vital to incorporate market surveys and employee participation whenever innovation is required. A company may choose to source an idea from the industry and engage employees in altering the design and producing a new product at the lowest cost possible. Regardless of the industry or the budget allocated anyone can be able to innovate without blowing the R&D budget. This can be achieved in a number of ways.

One may choose the Exploratory vs. Exploitative approaches when designing a big idea. When coming up with a new idea, companies may choose to source the idea form an existing source or work with what they have. According to the explanatory approach, innovation becomes necessary when the ideas in an organization no longer work. Unfortunately, this approach is as costly as it is unsuccessful. On the other hand, the exploitative approach entails analyzing ideas that are already present in order to come up with something new or better. This is evident in companies such as Cisco, which rotate between the two methods in order to remain within the budget and achieve the desired goals. While each of these approaches tends to work differently, only a mix of the two tend to produce the best outcome.

Keeping up with technology may be effective and cost effective when an organization chooses to utilize technology that already exists. However, this does not mean copying someone else’s work. However, the existing platforms may be used as inspirational ideas to be used to design new technologies. Innovative ideas for technology may be from observing pending patents to observing early adopters. In order to incorporate old ideas into the new ones, employee involvement is vital. Allowing employees to spend 20% of their company time engaging in projects outside their daily operations can yield success without necessarily incurring further cost. It is also vital to determine the thoughts of consumers through focus groups, surveys, polls, and buying trends. This may help reduce the chances of designing a product with a high likelihood of failing.